File
- - -
Theoretical XRD peak list of V2F7 for CuKα, from a crystal structure in Alexandria, relaxed with GGA+U.
Lines closer than 0.1° are merged.

Peak list (12 most intense, 15° ≤ 2θ ≤ 90°, by angle)
hkl 1 0 -2, 5.358 Å, I = 89; hkl 1 1 -1, 3.983 Å, I = 49; hkl 0 1 2, 3.925 Å, I = 100; hkl 2 0 -1, 3.904 Å, I = 83; hkl 1 1 2, 3.471 Å, I = 69; hkl 0 1 3, 3.298 Å, I = 67; hkl 1 1 -3, 3.102 Å, I = 77; hkl 2 1 1, 2.964 Å, I = 86; hkl 3 1 -2, 2.244 Å, I = 62; hkl 1 1 -6, 2.016 Å, I = 38; hkl 3 2 -2, 1.745 Å, I = 48; hkl 2 2 4, 1.735 Å, I = 67

Structural model:
```
V2F7
1.0
8.0068 0.0000 0.0000
0.0000 4.8048 0.0000
-0.9038 0.0000 13.6077
V F
8 28
Direct
0.0670 0.0000 0.1026
0.1843 0.4973 0.3010
0.3225 0.9919 0.4966
0.3350 0.4931 0.9599
0.6650 0.9931 0.0401
0.6775 0.4919 0.5034
0.8157 0.9973 0.6990
0.9330 0.5000 0.8974
0.0011 0.6754 0.3300
0.0459 0.2339 0.2218
0.1003 0.7367 0.9849
0.1430 0.3082 0.8788
0.1493 0.7841 0.5224
0.1830 0.2637 0.4197
0.1949 0.7292 0.1813
0.2461 0.2383 0.0654
0.3225 0.7827 0.3710
0.3394 0.1998 0.6020
0.3666 0.3268 0.2673
0.3718 0.7065 0.8550
0.4769 0.7163 0.0518
0.4797 0.7101 0.5487
0.5203 0.2101 0.4513
0.5231 0.2163 0.9482
0.6282 0.2065 0.1450
0.6334 0.8268 0.7327
0.6606 0.6998 0.3980
0.6775 0.2827 0.6290
0.7539 0.7383 0.9346
0.8051 0.2292 0.8187
0.8170 0.7637 0.5803
0.8507 0.2841 0.4776
0.8570 0.8082 0.1212
0.8997 0.2367 0.0151
0.9541 0.7339 0.7782
0.9989 0.1754 0.6700
```

* * * * *

1.
This entry pairs a crystal structure of TmMg5Ag2 with its simulated PXRD pattern. Radiation: Cu Kα. Structure: the PBE geometry in Alexandria.
Peak positions follow from Bragg's law for the DFT cell and can differ from measured ones.

Structural model:
Cell: 3.456 9.047 11.210 Å, 90.00 90.00 90.00°
Space group Immm (No. 71)
One atom of each set of equivalent atoms:
Tm: 0.000 0.000 0.000 (multiplicity 2)
Mg: 0.000 0.212 0.360 (multiplicity 8)
Mg: 0.000 0.500 0.000 (multiplicity 2)
Ag: 0.000 0.500 0.266 (multiplicity 4)

The 12 most intense peaks (10° ≤ 2θ ≤ 90°), sorted by position:
2θ (°), I/Imax
12.6, 64
19.6, 59
30.7, 16
32.0, 100
33.6, 30
35.4, 31
37.8, 49
39.9, 21
42.9, 41
54.3, 14
56.9, 14
66.9, 18

2.
This entry pairs a crystal structure of TmMg6Ag2 with its simulated PXRD pattern. Radiation: Cu Kα. Structure: the PBE geometry in Alexandria.
Peak positions follow from Bragg's law for the DFT cell and can differ from measured ones.

Structural model:
Cell: 4.252 4.252 11.136 Å, 90.00 90.00 90.00°
Space group P4/mmm (No. 123)
One atom of each set of equivalent atoms:
Tm: 0.000 0.000 0.000 (multiplicity 1)
Mg: 0.000 0.000 0.500 (multiplicity 1)
Mg: 0.000 0.500 0.281 (multiplicity 4)
Mg: 0.500 0.500 0.500 (multiplicity 1)
Ag: 0.500 0.500 0.120 (multiplicity 2)

The 12 most intense peaks (10° ≤ 2θ ≤ 90°), sorted by position:
2θ (°), I/Imax
26.4, 39
29.7, 71
30.8, 100
32.0, 98
33.9, 93
38.7, 92
42.5, 68
43.3, 29
46.0, 44
54.2, 44
58.8, 52
64.4, 31

3.
This entry pairs a crystal structure of YTmMg2Ag4 with its simulated PXRD pattern. Radiation: Cu Kα. Structure: the PBE geometry in Alexandria.
Peak positions follow from Bragg's law for the DFT cell and can differ from measured ones.

Structural model:
Cell: 4.9440 4.9440 24.0277 Å, 90.00 90.00 120.00°
Space group R-3m (No. 166, hexagonal axes)
One atom of each set of equivalent atoms:
Y: 0.0000 0.0000 0.0000 (multiplicity 3)
Tm: 0.0000 0.0000 0.5000 (multiplicity 3)
Mg: 0.0000 0.0000 0.2499 (multiplicity 6)
Ag: 0.0000 0.0000 0.1271 (multiplicity 6)
Ag: 0.0000 0.0000 0.3759 (multiplicity 6)

The 12 most intense peaks (10° ≤ 2θ ≤ 90°), sorted by position:
2θ (°), I/Imax
22.0, 26
36.3, 100
36.5, 98
43.0, 15
52.5, 34
65.4, 17
65.5, 34
65.9, 16
77.2, 10
77.7, 10
88.5, 15
88.9, 15

4.
This entry pairs a crystal structure of Y2Mg3Ag2 with its simulated PXRD pattern. Radiation: Cu Kα. Structure: the PBE geometry in Alexandria.
Peak positions follow from Bragg's law for the DFT cell and can differ from measured ones.

Structural model:
Cell: 10.242 4.639 7.485 Å, 90.00 112.05 90.00°
- - -

Wanted
Could you restate every line further up that contains the word "One"?

Response
One atom of each set of equivalent atoms:
One atom of each set of equivalent atoms:
One atom of each set of equivalent atoms: